**Contents:**
=====
A relaxed structure of Li3Fe5P6O24. Source: the Materials Project database, functional PBE with a Hubbard U.

Unit cell a=6.3727 b=15.8614 c=10.9236 alpha=89.76 beta=91.19 gamma=101.59
With the nearest neighbours (Å) after each atom.
Sites, in units of the cell vectors:
1 Li 0.2079 0.7277 0.4343  1 O 2.14
2 Li 0.0300 0.0601 0.2500  2 O 2.05
3 Li 0.5198 0.7277 0.0657  1 O 2.14
4 Li 0.4802 0.2723 0.9343  1 O 2.14
5 Li 0.9700 0.9399 0.7500  2 O 2.05
6 Li 0.7921 0.2723 0.5657  1 O 2.14
7 Fe 0.1964 0.8991 0.0769  5 O 1.93-1.98
8 Fe 0.0000 0.5000 0.0000  6 O 1.94-2.10
9 Fe 0.1917 0.3834 0.7500  6 O 2.00-2.12
10 Fe 0.1863 0.3726 0.2500  4 O 1.97-1.99
11 Fe 0.2973 0.1009 0.5769  5 O 1.93-1.98
12 Fe 0.5000 0.5000 0.5000  6 O 1.94-2.10
13 Fe 0.7027 0.8991 0.4231  5 O 1.93-1.98
14 Fe 0.8137 0.6274 0.7500  4 O 1.97-1.99
15 Fe 0.8083 0.6166 0.2500  6 O 2.00-2.12
16 Fe 0.8036 0.1009 0.9231  5 O 1.93-1.98
17 P 0.2136 0.9441 0.3706  4 O 1.53-1.57
18 P 0.0049 0.2966 0.9961  4 O 1.54-1.56
19 P 0.2815 0.5629 0.7500  4 O 1.53-1.60
20 P 0.2794 0.5588 0.2500  4 O 1.54-1.58
21 P 0.2917 0.2966 0.5039  4 O 1.54-1.56
22 P 0.2695 0.0559 0.8706  4 O 1.53-1.57
23 P 0.7305 0.9441 0.1294  4 O 1.53-1.57
24 P 0.7083 0.7034 0.4961  4 O 1.54-1.56
25 P 0.7206 0.4412 0.7500  4 O 1.54-1.58
26 P 0.7185 0.4371 0.2500  4 O 1.53-1.60
27 P 0.9951 0.7034 0.0039  4 O 1.54-1.56
28 P 0.7864 0.0559 0.6294  4 O 1.53-1.57
29 O 0.0054 0.8868 0.4168  1 P 1.54
30 O 0.2042 0.9654 0.2305  1 P 1.57
31 O 0.2111 0.9639 0.9266  1 P 1.56
32 O 0.1852 0.7798 0.0314  1 P 1.56
33 O 0.1008 0.6240 0.0032  1 P 1.54
34 O 0.1167 0.6188 0.7234  1 P 1.53
35 O 0.1232 0.6189 0.2758  1 P 1.54
36 O 0.3917 0.8948 0.4013  1 P 1.53
37 O 0.2138 0.4954 0.8579  1 P 1.60
38 O 0.2106 0.4926 0.1418  1 P 1.58
39 O 0.1185 0.2853 0.1194  1 P 1.54
40 O 0.1753 0.3040 0.8941  1 P 1.56
41 O 0.1287 0.3040 0.6059  1 P 1.56
42 O 0.1668 0.2853 0.3806  1 P 1.54
43 O 0.2816 0.4954 0.6421  1 P 1.60
44 O 0.2820 0.4926 0.3582  1 P 1.58
45 O 0.5031 0.8948 0.0987  1 P 1.53
46 O 0.1186 0.1132 0.9168  1 P 1.54
47 O 0.5020 0.6188 0.7766  1 P 1.53
48 O 0.4957 0.6189 0.2242  1 P 1.54
49 O 0.5232 0.6240 0.4968  1 P 1.54
50 O 0.2388 0.0346 0.7305  1 P 1.57
51 O 0.5946 0.7798 0.4686  1 P 1.56
52 O 0.2472 0.0361 0.4266  1 P 1.56
53 O 0.7528 0.9639 0.5734  1 P 1.56
54 O 0.4054 0.2202 0.5314  1 P 1.56
55 O 0.7612 0.9654 0.2695  1 P 1.57
56 O 0.4768 0.3760 0.5032  1 P 1.54
57 O 0.5043 0.3811 0.7758  1 P 1.54
58 O 0.4980 0.3812 0.2234  1 P 1.53
59 O 0.8814 0.8868 0.0832  1 P 1.54
60 O 0.4969 0.1052 0.9013  1 P 1.53
61 O 0.7180 0.5074 0.6418  1 P 1.58
62 O 0.7184 0.5046 0.3579  1 P 1.60
63 O 0.8332 0.7147 0.6194  1 P 1.54
64 O 0.8713 0.6960 0.3941  1 P 1.56
65 O 0.8247 0.6960 0.1059  1 P 1.56
66 O 0.8815 0.7147 0.8806  1 P 1.54
67 O 0.7894 0.5074 0.8582  1 P 1.58
68 O 0.7862 0.5046 0.1421  1 P 1.60
69 O 0.6083 0.1052 0.5987  1 P 1.53
70 O 0.8768 0.3811 0.7242  1 P 1.54
71 O 0.8833 0.3812 0.2766  1 P 1.53
72 O 0.8992 0.3760 0.9968  1 P 1.54
73 O 0.8148 0.2202 0.9686  1 P 1.56
74 O 0.7889 0.0361 0.0734  1 P 1.56
75 O 0.7958 0.0346 0.7695  1 P 1.57
76 O 0.9946 0.1132 0.5832  1 P 1.54

## Properties
**Space-group type**: No. 15
**MP2020-corrected energy**: -7.625 eV/atom
**Total magnetic moment**: 0.658 μB per atom
**Final energy**: -6.895 eV per atom
**E_form**: -230 kJ per mole of atoms
**Polymorph energy (0 for the lowest one)**: 0.0 meV/atom

=====

# 1
A relaxed structure of CsZr6BI14, computed with PBE-GGA.

a = 11.0207 Å, b = 11.0207 Å, c = 13.2267 Å
α = 90.00°, β = 90.00°, γ = 85.33°
Sites, in units of the cell vectors:
Cs 0.0000 0.0000 0.0000
Cs 0.5000 0.5000 0.5000
Zr 0.0427 0.1681 0.6081
Zr 0.1308 0.8692 0.5967
Zr 0.1681 0.0427 0.3919
Zr 0.3319 0.4573 0.8919
Zr 0.3692 0.6308 0.0967
Zr 0.4573 0.3319 0.1081
Zr 0.5427 0.6681 0.8919
Zr 0.6308 0.3692 0.9033
Zr 0.6681 0.5427 0.1081
Zr 0.8319 0.9573 0.6081
Zr 0.8692 0.1308 0.4033
Zr 0.9573 0.8319 0.3919
B 0.0000 0.0000 0.5000
B 0.5000 0.5000 0.0000
I 0.0356 0.2111 0.2530
=====

**Job:**
Find the line further above that holds "0.1753 0.3040", then set down that line and all lines after it there.

**Solution:**
40 O 0.1753 0.3040 0.8941  1 P 1.56
41 O 0.1287 0.3040 0.6059  1 P 1.56
42 O 0.1668 0.2853 0.3806  1 P 1.54
43 O 0.2816 0.4954 0.6421  1 P 1.60
44 O 0.2820 0.4926 0.3582  1 P 1.58
45 O 0.5031 0.8948 0.0987  1 P 1.53
46 O 0.1186 0.1132 0.9168  1 P 1.54
47 O 0.5020 0.6188 0.7766  1 P 1.53
48 O 0.4957 0.6189 0.2242  1 P 1.54
49 O 0.5232 0.6240 0.4968  1 P 1.54
50 O 0.2388 0.0346 0.7305  1 P 1.57
51 O 0.5946 0.7798 0.4686  1 P 1.56
52 O 0.2472 0.0361 0.4266  1 P 1.56
53 O 0.7528 0.9639 0.5734  1 P 1.56
54 O 0.4054 0.2202 0.5314  1 P 1.56
55 O 0.7612 0.9654 0.2695  1 P 1.57
56 O 0.4768 0.3760 0.5032  1 P 1.54
57 O 0.5043 0.3811 0.7758  1 P 1.54
58 O 0.4980 0.3812 0.2234  1 P 1.53
59 O 0.8814 0.8868 0.0832  1 P 1.54
60 O 0.4969 0.1052 0.9013  1 P 1.53
61 O 0.7180 0.5074 0.6418  1 P 1.58
62 O 0.7184 0.5046 0.3579  1 P 1.60
63 O 0.8332 0.7147 0.6194  1 P 1.54
64 O 0.8713 0.6960 0.3941  1 P 1.56
65 O 0.8247 0.6960 0.1059  1 P 1.56
66 O 0.8815 0.7147 0.8806  1 P 1.54
67 O 0.7894 0.5074 0.8582  1 P 1.58
68 O 0.7862 0.5046 0.1421  1 P 1.60
69 O 0.6083 0.1052 0.5987  1 P 1.53
70 O 0.8768 0.3811 0.7242  1 P 1.54
71 O 0.8833 0.3812 0.2766  1 P 1.53
72 O 0.8992 0.3760 0.9968  1 P 1.54
73 O 0.8148 0.2202 0.9686  1 P 1.56
74 O 0.7889 0.0361 0.0734  1 P 1.56
75 O 0.7958 0.0346 0.7695  1 P 1.57
76 O 0.9946 0.1132 0.5832  1 P 1.54

## Properties
**Space-group type**: No. 15
**MP2020-corrected energy**: -7.625 eV/atom
**Total magnetic moment**: 0.658 μB per atom
**Final energy**: -6.895 eV per atom
**E_form**: -230 kJ per mole of atoms
**Polymorph energy (0 for the lowest one)**: 0.0 meV/atom

=====

# 1
A relaxed structure of CsZr6BI14, computed with PBE-GGA.

a = 11.0207 Å, b = 11.0207 Å, c = 13.2267 Å
α = 90.00°, β = 90.00°, γ = 85.33°
Sites, in units of the cell vectors:
Cs 0.0000 0.0000 0.0000
Cs 0.5000 0.5000 0.5000
Zr 0.0427 0.1681 0.6081
Zr 0.1308 0.8692 0.5967
Zr 0.1681 0.0427 0.3919
Zr 0.3319 0.4573 0.8919
Zr 0.3692 0.6308 0.0967
Zr 0.4573 0.3319 0.1081
Zr 0.5427 0.6681 0.8919
Zr 0.6308 0.3692 0.9033
Zr 0.6681 0.5427 0.1081
Zr 0.8319 0.9573 0.6081
Zr 0.8692 0.1308 0.4033
Zr 0.9573 0.8319 0.3919
B 0.0000 0.0000 0.5000
B 0.5000 0.5000 0.0000
I 0.0356 0.2111 0.2530